[Contents]
~~~
[1]
92
Properties=species:S:1:pos:R:3:forces:R:3 method="wB97M-V/def2-TZVPD" multiplicity=3 charge=+1 e_above_lowest_ev=0.000 fmax_ha_per_bohr=0.07079 e_tot_ev=-118004.6817
V -0.02400 -0.07017 -0.55924 2.964 -1.616 -1.363
C 0.85578 -2.72539 3.01780 -0.116 -0.058 0.008
C -0.57550 -2.66644 2.56760 0.139 -0.128 0.343
N -1.47647 -3.40098 3.19495 -0.207 0.045 -0.101
C -2.75520 -3.38296 2.77386 0.397 -0.086 0.336
C -3.18914 -2.65812 1.69477 -0.145 0.023 -0.170
C -4.61787 -2.74573 1.23907 0.108 -0.272 -0.130
O -4.80232 -3.70294 0.19107 -0.041 0.209 0.014
C -2.23472 -1.88988 0.99924 -0.186 0.399 -0.282
C -2.60532 -1.26875 -0.27180 0.048 -0.655 -0.025
N -1.75255 -0.78269 -1.10646 -0.758 -0.236 -0.700
C -2.08460 -0.67061 -2.49730 -0.125 0.127 0.505
C -2.93223 -1.58244 -3.10383 -0.088 -0.176 -0.060
C -3.17770 -1.53541 -4.46654 -0.047 0.019 0.046
C -2.54635 -0.57807 -5.23800 -0.012 -0.018 -0.041
C -1.67211 0.32681 -4.64997 0.044 0.036 -0.114
C -1.45181 0.28519 -3.29118 0.222 0.384 0.196
I 1.35589 -1.68262 -2.06092 0.104 -0.229 -0.398
C -0.92691 -1.85135 1.47930 0.155 0.343 -0.508
O 0.01414 -1.06995 0.93155 -0.295 -0.327 1.037
H 0.90677 -3.17968 4.00410 -0.013 0.006 -0.011
H 1.30789 -1.73444 3.03215 -0.006 0.007 0.021
H 1.43833 -3.33439 2.32195 -0.004 0.044 0.001
H -3.45102 -3.99620 3.33560 0.016 0.013 0.001
H -4.97469 -1.76487 0.92145 -0.112 0.124 -0.038
H -5.24666 -3.07192 2.06379 -0.035 -0.015 0.072
H -3.98394 -3.79875 -0.30574 0.035 -0.081 0.096
H -3.62328 -1.41292 -0.61983 -0.068 -0.030 0.082
H -3.36159 -2.38071 -2.51214 -0.029 0.031 -0.019
H -3.83823 -2.26284 -4.91907 0.039 0.017 0.006
H -2.69557 -0.54994 -6.31046 -0.006 0.021 0.081
H -1.15377 1.02532 -5.28066 -0.024 -0.008 -0.014
Cl 0.22779 6.93645 -3.17364 0.000 -0.027 -0.004
C -0.00402 5.23352 -3.02028 0.042 0.150 -0.137
C 0.01809 4.42254 -4.14619 -0.003 -0.085 -0.073
C -0.15414 3.04810 -4.04211 0.102 0.138 -0.087
C -0.37850 2.46967 -2.80669 -0.088 -0.185 0.056
O -0.52231 1.11586 -2.60885 -0.193 -0.278 -0.156
C -0.39019 3.29478 -1.66684 -0.110 -0.057 0.039
C -0.61990 2.76929 -0.34688 -0.145 0.445 -0.313
O -0.66153 1.56735 -0.10775 -0.895 2.055 1.248
C -0.19943 4.67084 -1.78372 -0.063 0.091 0.207
H 0.18240 4.86710 -5.11939 0.024 -0.016 0.034
H -0.06711 2.45250 -4.93257 0.033 -0.015 -0.001
H -0.78244 3.46295 0.48487 0.014 0.067 -0.028
H -0.20208 5.29030 -0.89286 -0.035 -0.030 -0.056
C -4.99147 0.35897 3.86697 -0.023 0.136 -0.113
C -4.94015 1.55763 2.91113 -0.050 -0.123 0.083
Sb -3.39993 1.38131 1.42515 -0.388 -0.153 0.218
C -3.66911 3.39813 0.68681 0.292 0.128 0.283
C -3.33024 4.57460 1.60561 -0.110 -0.001 -0.225
C -1.77543 1.38731 2.85738 -0.025 0.360 0.057
C -1.78021 2.47848 3.93366 0.047 -0.235 -0.027
H -5.73760 0.51530 4.64895 0.024 -0.023 -0.030
H -4.03122 0.19062 4.36198 -0.046 0.012 -0.023
H -5.25853 -0.56103 3.33891 0.044 0.053 0.023
H -4.76585 2.48817 3.45519 -0.055 -0.033 0.015
H -5.88253 1.66659 2.36798 0.024 0.005 0.085
H -4.73736 3.38944 0.45931 0.013 0.059 -0.093
H -3.14171 3.48682 -0.26639 -0.118 0.024 -0.060
H -3.81621 4.48472 2.57683 0.045 -0.022 0.019
H -3.66550 5.51615 1.16291 0.013 -0.013 0.017
H -2.25553 4.66551 1.77842 -0.015 -0.012 0.030
H -0.83599 1.38715 2.30270 -0.035 -0.047 0.080
H -1.87417 0.39964 3.31769 0.086 -0.014 -0.013
H -1.69151 3.47612 3.50786 0.012 -0.001 0.012
H -0.93782 2.34153 4.61849 -0.070 0.003 -0.017
H -2.69231 2.44990 4.53289 0.018 0.020 -0.032
O 1.94315 0.96080 -0.27825 -0.272 0.127 -0.035
S 2.49380 2.37522 -0.19112 -0.183 -0.467 0.050
C 4.23324 2.21677 -0.44081 0.147 0.018 0.088
C 4.85688 3.16262 -1.23827 0.034 -0.015 -0.016
C 6.23729 3.09727 -1.39491 -0.014 -0.001 0.018
C 6.95514 2.09515 -0.76081 -0.042 -0.038 0.025
C 6.30556 1.13614 0.01700 0.019 0.045 -0.026
C 4.93398 1.19000 0.18318 0.008 0.006 -0.045
C 2.44047 2.75263 1.55437 -0.033 0.023 0.082
C 1.99410 1.77514 2.43098 0.037 0.109 0.036
C 1.91104 2.08508 3.78456 0.009 0.027 -0.034
C 2.27679 3.34604 4.23562 0.010 -0.015 -0.030
C 2.72124 4.31472 3.33989 -0.005 -0.022 0.025
~~~
[Assignment]
Search the entries above for the word "Cl" and write out each line that has it, please.
[Done]
Cl 0.22779 6.93645 -3.17364 0.000 -0.027 -0.004